Activity:
Transcribe all of the data further down without altering anything, please.

Input:
/*
one | # Li3Fe4O3F9

A relaxed Li3Fe4O3F9 crystal (PBE with a Hubbard U, Materials Project).

## Properties
- M_tot (μB/f.u.) = 20.00

a = 5.9899 Å, b = 5.9990 Å, c = 6.0311 Å
α = 98.70°, β = 99.10°, γ = 98.85°
Fractional coordinates of all 19 atoms:
Li  0.6946  0.4163  0.8753
Li  0.8588  0.6554  0.3844
Li  0.6105  0.1510  0.3377
Fe  0.3919  0.8358  0.6441
Fe  0.1449  0.3595  0.6199
Fe  0.3202  0.5766  0.1246
Fe  0.9991  0.0116  0.0049
O  0.1974  0.5845  0.4069
O  0.4050  0.5972  0.8205
O  0.1061  0.3092  0.9384
F  0.0655  0.8845  0.6987
F  0.3047  0.9305  0.1221
F  0.6075  0.8270  0.4256
F  0.3803  0.1596  0.5684
F  0.8853  0.7055  0.0559
F  0.5725  0.4061  0.1816
F  0.8252  0.4197  0.5978
F  0.6748  0.0403  0.8751
F  0.9557  0.1297  0.3180



two | # Li3Fe4O3F9

A relaxed Li3Fe4O3F9 crystal (PBE with a Hubbard U, Materials Project).

## Properties
- M_tot (μB/f.u.) = 20.00

a = 5.9242 Å, b = 5.9929 Å, c = 6.0809 Å
α = 99.72°, β = 99.86°, γ = 99.62°
Fractional coordinates of all 19 atoms:
Li  0.0086  0.9937  0.0032
Li  0.8685  0.6807  0.3924
Li  0.2953  0.6016  0.1186
Fe  0.6664  0.4099  0.8459
Fe  0.1418  0.3408  0.6173
Fe  0.6069  0.1501  0.3475
Fe  0.3923  0.8625  0.6816
O  0.3986  0.1708  0.5791
O  0.4178  0.5918  0.8063
O  0.8190  0.4031  0.5884
F  0.6801  0.0685  0.8945
F  0.1046  0.3059  0.9278
F  0.9361  0.1044  0.3172
F  0.1865  0.5770  0.4045
F  0.0706  0.8814  0.6905
F  0.5713  0.3969  0.1709
F  0.6056  0.8357  0.4496
F  0.8886  0.6709  0.0472
F  0.3415  0.9542  0.1175



three | # Li3Fe4O3F9

A relaxed Li3Fe4O3F9 crystal (PBE with a Hubbard U, Materials Project).

## Properties
- M_tot (μB/f.u.) = 20.00

a = 5.9541 Å, b = 6.0091 Å, c = 6.0379 Å
α = 99.88°, β = 99.28°, γ = 98.92°
Fractional coordinates of all 19 atoms:
Li  0.8515  0.6596  0.4093
Li  0.6945  0.4001  0.8691
Li  0.1210  0.3291  0.5989
Fe  0.5952  0.1267  0.3194
Fe  0.3239  0.6355  0.1511
Fe  0.9983  0.0018  0.9940
Fe  0.4279  0.8821  0.6913
O  0.3172  0.9507  0.1023
O  0.5753  0.8231  0.4185
O  0.6943  0.0538  0.8937
F  0.9221  0.6825  0.0493
F  0.9339  0.1056  0.3087
F  0.5634  0.4086  0.1793
F  0.7935  0.3909  0.5739
F  0.3873  0.1745  0.5652
F  0.1749  0.5660  0.4035
F  0.4222  0.6018  0.8288
F  0.0789  0.8817  0.6867
F  0.1248  0.3259  0.9571



Relative to the most stable one, in eV/atom, the structures come out at one 0.000; two 0.009; three 0.025.



one | # Li2Fe4O3F8

A relaxed Li2Fe4O3F8 crystal (PBE with a Hubbard U, Materials Project).

## Properties
- M_tot (μB/f.u.) = 20.00

a = 5.0815 Å, b = 6.6780 Å, c = 6.8610 Å
α = 108.64°, β = 105.74°, γ = 96.67°
Fractional coordinates of all 17 atoms:
Li  0.6634  0.1792  0.3911
Li  0.3366  0.8208  0.6089
Fe  0.9093  0.2498  0.9718
Fe  0.3446  0.3778  0.7591
Fe  0.6554  0.6222  0.2409
Fe  0.0907  0.7502  0.0282
O  0.0000  0.0000  0.0000
O  0.7357  0.5282  0.9498
O  0.2643  0.4718  0.0502
F  0.4864  0.1163  0.8013
F  0.9462  0.2038  0.6617
F  0.3722  0.2887  0.4780
F  0.8039  0.3579  0.2546
F  0.1961  0.6421  0.7454
F  0.6278  0.7113  0.5220
F  0.0538  0.7962  0.3383
F  0.5136  0.8837  0.1987



two | # Li2Fe4O3F8

A relaxed Li2Fe4O3F8 crystal (PBE with a Hubbard U, Materials Project).

## Properties
- M_tot (μB/f.u.) = 18.48

a = 6.6780 Å, b = 6.8610 Å, c = 5.0815 Å
α = 105.74°, β = 96.67°, γ = 108.64°
Fractional coordinates of all 17 atoms:
Li  0.3911  0.6634  0.1792
Li  0.6089  0.3366  0.8208
Fe  0.9718  0.9093  0.2498
Fe  0.7591  0.3446  0.3778
Fe  0.2409  0.6554  0.6222
Fe  0.0282  0.0907  0.7502
O  0.0000  0.0000  0.0000
O  0.9498  0.7357  0.5282
O  0.0502  0.2643  0.4718
F  0.8013  0.4864  0.1163
F  0.6617  0.9462  0.2038
F  0.4780  0.3722  0.2887
F  0.2546  0.8039  0.3579
F  0.7454  0.1961  0.6421
F  0.5220  0.6278  0.7113
F  0.3383  0.0538  0.7962
F  0.1987  0.5136  0.8837



Relative to the most stable one, in eV/atom, the structures come out at one 0.000; two 0.817.

* * * * *

[1]
*/

Written answer:
one | # Li3Fe4O3F9

A relaxed Li3Fe4O3F9 crystal (PBE with a Hubbard U, Materials Project).

## Properties
- M_tot (μB/f.u.) = 20.00

a = 5.9899 Å, b = 5.9990 Å, c = 6.0311 Å
α = 98.70°, β = 99.10°, γ = 98.85°
Fractional coordinates of all 19 atoms:
Li  0.6946  0.4163  0.8753
Li  0.8588  0.6554  0.3844
Li  0.6105  0.1510  0.3377
Fe  0.3919  0.8358  0.6441
Fe  0.1449  0.3595  0.6199
Fe  0.3202  0.5766  0.1246
Fe  0.9991  0.0116  0.0049
O  0.1974  0.5845  0.4069
O  0.4050  0.5972  0.8205
O  0.1061  0.3092  0.9384
F  0.0655  0.8845  0.6987
F  0.3047  0.9305  0.1221
F  0.6075  0.8270  0.4256
F  0.3803  0.1596  0.5684
F  0.8853  0.7055  0.0559
F  0.5725  0.4061  0.1816
F  0.8252  0.4197  0.5978
F  0.6748  0.0403  0.8751
F  0.9557  0.1297  0.3180



two | # Li3Fe4O3F9

A relaxed Li3Fe4O3F9 crystal (PBE with a Hubbard U, Materials Project).

## Properties
- M_tot (μB/f.u.) = 20.00

a = 5.9242 Å, b = 5.9929 Å, c = 6.0809 Å
α = 99.72°, β = 99.86°, γ = 99.62°
Fractional coordinates of all 19 atoms:
Li  0.0086  0.9937  0.0032
Li  0.8685  0.6807  0.3924
Li  0.2953  0.6016  0.1186
Fe  0.6664  0.4099  0.8459
Fe  0.1418  0.3408  0.6173
Fe  0.6069  0.1501  0.3475
Fe  0.3923  0.8625  0.6816
O  0.3986  0.1708  0.5791
O  0.4178  0.5918  0.8063
O  0.8190  0.4031  0.5884
F  0.6801  0.0685  0.8945
F  0.1046  0.3059  0.9278
F  0.9361  0.1044  0.3172
F  0.1865  0.5770  0.4045
F  0.0706  0.8814  0.6905
F  0.5713  0.3969  0.1709
F  0.6056  0.8357  0.4496
F  0.8886  0.6709  0.0472
F  0.3415  0.9542  0.1175



three | # Li3Fe4O3F9

A relaxed Li3Fe4O3F9 crystal (PBE with a Hubbard U, Materials Project).

## Properties
- M_tot (μB/f.u.) = 20.00

a = 5.9541 Å, b = 6.0091 Å, c = 6.0379 Å
α = 99.88°, β = 99.28°, γ = 98.92°
Fractional coordinates of all 19 atoms:
Li  0.8515  0.6596  0.4093
Li  0.6945  0.4001  0.8691
Li  0.1210  0.3291  0.5989
Fe  0.5952  0.1267  0.3194
Fe  0.3239  0.6355  0.1511
Fe  0.9983  0.0018  0.9940
Fe  0.4279  0.8821  0.6913
O  0.3172  0.9507  0.1023
O  0.5753  0.8231  0.4185
O  0.6943  0.0538  0.8937
F  0.9221  0.6825  0.0493
F  0.9339  0.1056  0.3087
F  0.5634  0.4086  0.1793
F  0.7935  0.3909  0.5739
F  0.3873  0.1745  0.5652
F  0.1749  0.5660  0.4035
F  0.4222  0.6018  0.8288
F  0.0789  0.8817  0.6867
F  0.1248  0.3259  0.9571



Relative to the most stable one, in eV/atom, the structures come out at one 0.000; two 0.009; three 0.025.



one | # Li2Fe4O3F8

A relaxed Li2Fe4O3F8 crystal (PBE with a Hubbard U, Materials Project).

## Properties
- M_tot (μB/f.u.) = 20.00

a = 5.0815 Å, b = 6.6780 Å, c = 6.8610 Å
α = 108.64°, β = 105.74°, γ = 96.67°
Fractional coordinates of all 17 atoms:
Li  0.6634  0.1792  0.3911
Li  0.3366  0.8208  0.6089
Fe  0.9093  0.2498  0.9718
Fe  0.3446  0.3778  0.7591
Fe  0.6554  0.6222  0.2409
Fe  0.0907  0.7502  0.0282
O  0.0000  0.0000  0.0000
O  0.7357  0.5282  0.9498
O  0.2643  0.4718  0.0502
F  0.4864  0.1163  0.8013
F  0.9462  0.2038  0.6617
F  0.3722  0.2887  0.4780
F  0.8039  0.3579  0.2546
F  0.1961  0.6421  0.7454
F  0.6278  0.7113  0.5220
F  0.0538  0.7962  0.3383
F  0.5136  0.8837  0.1987



two | # Li2Fe4O3F8

A relaxed Li2Fe4O3F8 crystal (PBE with a Hubbard U, Materials Project).

## Properties
- M_tot (μB/f.u.) = 18.48

a = 6.6780 Å, b = 6.8610 Å, c = 5.0815 Å
α = 105.74°, β = 96.67°, γ = 108.64°
Fractional coordinates of all 17 atoms:
Li  0.3911  0.6634  0.1792
Li  0.6089  0.3366  0.8208
Fe  0.9718  0.9093  0.2498
Fe  0.7591  0.3446  0.3778
Fe  0.2409  0.6554  0.6222
Fe  0.0282  0.0907  0.7502
O  0.0000  0.0000  0.0000
O  0.9498  0.7357  0.5282
O  0.0502  0.2643  0.4718
F  0.8013  0.4864  0.1163
F  0.6617  0.9462  0.2038
F  0.4780  0.3722  0.2887
F  0.2546  0.8039  0.3579
F  0.7454  0.1961  0.6421
F  0.5220  0.6278  0.7113
F  0.3383  0.0538  0.7962
F  0.1987  0.5136  0.8837



Relative to the most stable one, in eV/atom, the structures come out at one 0.000; two 0.817.

* * * * *

[1]